Airlines are flying to domestic locations and we’ve been housebound for too long. Most of us would go just about anywhere just to go. But some people may still be concerned about getting on a flight with social distancing orders still in place. Airlines and airports around the world are doing everything they can to instill confidence that it is safe to fly again, despite the pandemic. (Boeing, 2020)
The Centers for Disease Control and Prevention guidelines they say that people may be less likely to contract a virus on a flight because of how the air is circulated and filtered on airplanes, but they may be more likely to get sick from being in close contact with others on airport security lines or from coming in contact with frequently touched surfaces. (CDC Guidelines)
Know Restrictions – (Domestic/International)
Keeping abreast of ever-changing quarantine rules, travel bans, advisories, etc. is mission-critical for travelers in 2020. Every state is on its reopening schedule, and rules and regulations are changing rapidly, so it’s important to keep up to date with local guidelines before you travel.
What Should I Expect at The Airport and On The Plane?
For those who haven’t flown since early March, airports are practically unrecognizable. Each airport and airline has varying protocols in place to combat the spread of coronavirus. But depending on your location, you can expect ubiquitous hand sanitizer locations, UV lights directed at self-service kiosks, and a sea of face masks. Be sure to bring a mask, even if your particular flight won’t require it — some airports will require masks to get through the door. (Fox Business, 2020)
What about the expectations from TSA (Transport Security Staff)
As per their latest press release here is what you could expect from the TSA at your airport –
- TSA officers will wear gloves and masks, and change gloves after each pat-down.
- Passengers should wear facial protection and practice social distancing in the checkpoint line
- Passengers may be asked to remove their mask to verify ID (or if the mask trips an alarm for some reason)
- Scan your boarding pass (don’t hand it to the TSA officer), then display it to TSA for visual inspection
- If your bag triggers an alarm, you may be directed out of line to dispose of/separate culprit items and return through the line (eliminating a TSA officer’s search of your bags)
How Clean is the Plane?
Almost all major airlines are disinfecting planes between flights, giving extra attention to high-touch surfaces and bathrooms. Many airplanes also use HEPA filters, which completely refresh the cabin air throughout the flight and work to filter out over 99 percent of airborne viruses, bacteria, and other contagions. Few airlines are also offering disinfectant wipes or hand sanitizer to passengers, though we still recommend carrying your own just to be safe.
Consider Safety Protocols and Enforcement
There is mounting evidence that wearing a face mask is key to preventing the spread of COVID-19, making this one of the easiest ways to help mitigate risk while traveling. More and more airlines are starting to require face coverings, including Delta, United, American, JetBlue, and Southwest — sometimes with hefty consequences, like being banned from the airline if you don’t comply. (Millionmiles, 2020)
Expect Changes in Flight Schedules
Due to the massive drop in demand, airlines have made significant cuts to their flight schedules.
Can You Social Distance on an Airplane?
Airlines are doing their best to help you physically distance without filing Chapter 11. As stated in the list above, many are blocking out middle seats from purchase, to ensure you’re not rubbing shoulders with anyone (you can still request to sit with family members, if you like).
Are Airlines Serving Meals?
Many airlines have shifted their meal services to pre-packaged foods with disposable flatware. Some airlines are even encouraging passengers to bring their food for the flights (Especially with kids onboarding).
_Misplaced records of crystals_
........
The following is a DFT calculation (GGA+U) of a geometry-optimized SrLaMgMnRuO6 structure.

Its crystal system is triclinic. The formation enthalpy at 0 K is -2448 meV per atom. Its space-group type is P1, No. 1.

CIF file:
```
data_SrLaMgMnRuO6
_chemical_formula_sum 'Sr1 La1 Mg1 Mn1 Ru1 O6'
_space_group_name_H-M_alt 'P 1'
_space_group_IT_number 1
_cell_length_a 6.3761
_cell_length_b 6.4525
_cell_length_c 6.6296
_cell_angle_alpha 51.74
_cell_angle_beta 50.57
_cell_angle_gamma 52.81
loop_
_space_group_symop_operation_xyz
'x,y,z'
loop_
_atom_site_label
_atom_site_fract_x
_atom_site_fract_y
_atom_site_fract_z
Mn1 0.3586 0.3761 0.3928
O1 0.0383 0.7791 0.4077
Ru1 0.0089 0.0100 0.0105
O2 0.2562 0.6407 0.9284
O3 0.7733 0.3957 0.0649
O4 0.4047 0.0746 0.7770
Sr1 0.1841 0.1954 0.1864
La1 0.8402 0.8313 0.8394
O5 0.6313 0.9151 0.2537
Mg1 0.6653 0.6497 0.6317
O6 0.9581 0.2513 0.6266
```

=====

No. 1
This record from the Materials Project database describes an optimized crystal structure of Li4Ge9O20. The functional is GGA-PBE.

Results
For the density, the calculation gives 4.28 Mg/m³. The space group is C2 (5).

a b c (Å): 7.497 7.497 7.601
angles (deg): 89.49 89.49 65.49
Fractional coordinates of all 33 atoms:
Li  0.346  0.067  0.382
Li  0.933  0.654  0.618
Li  0.328  0.672  0.000
Li  0.710  0.290  0.000
Ge  0.348  0.349  0.709
Ge  0.651  0.652  0.291
Ge  0.607  0.921  0.950
Ge  0.079  0.393  0.050
Ge  0.117  0.084  0.760
Ge  0.916  0.883  0.240
Ge  0.508  0.682  0.670
Ge  0.318  0.492  0.330
Ge  0.766  0.234  0.500
O  0.218  0.558  0.545
O  0.442  0.782  0.455
O  0.148  0.503  0.870
O  0.497  0.852  0.130
O  0.457  0.161  0.884
O  0.915  0.107  0.319
O  0.893  0.085  0.681
O  0.521  0.466  0.785
O  0.534  0.479  0.215
O  0.157  0.709  0.201
O  0.291  0.843  0.799
O  0.809  0.964  0.030
O  0.036  0.191  0.970
O  0.525  0.241  0.499
O  0.759  0.475  0.501
O  0.790  0.793  0.387
O  0.207  0.210  0.613
O  0.247  0.313  0.230
O  0.687  0.753  0.770
O  0.839  0.543  0.116


No. 2
This record from the Materials Project database describes an optimized crystal structure of CsSb2F11. The functional is GGA-PBE.

Results
For the density, the calculation gives 3.72 Mg/m³. The space group is P2_1/c (14).

a b c (Å): 14.646 7.925 9.906
angles (deg): 65.50 90.00 90.00
Fractional coordinates of all 56 atoms:
Cs  0.628  0.742  0.274
Cs  0.372  0.258  0.726
Cs  0.872  0.742  0.774
Cs  0.128  0.258  0.226
Sb  0.950  0.733  0.243
Sb  0.050  0.267  0.757
Sb  0.550  0.733  0.743
Sb  0.805  0.279  0.309
Sb  0.195  0.721  0.691
Sb  0.305  0.721  0.191
Sb  0.695  0.279  0.809
Sb  0.450  0.267  0.257
F  0.358  0.880  0.006
F  0.950  0.416  0.651
F  0.521  0.048  0.340
F  0.743  0.087  0.282
F  0.257  0.913  0.718
F  0.873  0.490  0.344
F  0.757  0.087  0.782
F  0.794  0.330  0.911
F  0.243  0.913  0.218
F  0.479  0.952  0.660
F  0.206  0.670  0.089
F  0.339  0.158  0.355
F  0.550  0.416  0.151
F  0.142  0.880  0.506
F  0.736  0.476  0.631
F  0.236  0.524  0.869
........
How can I Help Prevent the Spread of COVID After I Land?
Don’t overthink it. The number one thing is to recognize your responsibility. Leave the airport while touching as little as possible. It’s the little things that can help.
At last, we can say if you are considering getting engage in air travel, some common-sense decisions will lower the risk of contracting or distributing the novel coronavirus to others. Please feel free to let us know if you’ve any questions and we would be delighted to help further.
Work Cited
“Considerations for Travelers-Coronavirus in the US.” 30 July 2020. https://www.cdc.gov/coronavirus/2019-ncov/travelers/travel-in-the-us.html
Settembre, Jeanette. “With Coronavirus Restrictions Easing, Is It Safe to Fly Now?” Fox Business. Fox Business, 09 June 2020. https://www.foxbusiness.com/lifestyle/is-it-safe-to-fly-again
Hostetler, Joseph. “Is It Safe to Fly Again? Your Coronavirus Questions Answered.” Million Mile Secrets. Million Mile Secrets, 15 July 2020. https://millionmilesecrets.com/guides/is-it-safe-to-fly-coronavirus/
“Travel with Confidence.” Is It Safe To Fly? Healthy Air Travel Information from Boeing. 30 July 2020. https://www.boeing.com/confident-travel/?gclid=CjwKCAjwmf_4BRABEiwAGhDfSVEn88o0p9e8Mcs0X6YGIM7Lmiri-2qi66kU19alWpfeWlSZxy9-qRoCYC0QAvD_BwE